## What to do
Now start at the top of the listing further down and echo each line, ending with the one that has "2.041".

## Material
- - -
1.
Computed powder diffractogram
Compound: ReNiBP2
Radiation: λ = 1.5418 Å (Cu Kα)
Structure: a PBE-relaxed structure

```
10
Lattice="7.708 0.000 0.000 0.000 3.066 0.000 -3.309 0.000 5.444" Properties=species:S:1:pos:R:3 pbc="T T T"
Re 0.000 0.000 0.000
Re 3.854 1.533 0.000
Ni 2.121 0.000 1.744
Ni 5.975 1.533 1.744
B -1.101 0.000 5.122
B 2.754 1.533 5.122
P -1.757 1.533 4.029
P 0.474 1.533 1.839
P 2.097 0.000 4.029
P 4.329 0.000 1.839
```

Peak list (10 most intense, 2θ = 5–70°, sorted by position)
| 2θ/deg | d (Å) | intensity |
| --- | --- | --- |
| 16.28 | 5.444 | 100.0 |
| 27.07 | 3.294 | 46.9 |
| 29.80 | 2.998 | 37.0 |
| 32.80 | 2.730 | 86.7 |
| 38.61 | 2.332 | 29.6 |
| 39.50 | 2.282 | 35.9 |
| 41.01 | 2.201 | 49.9 |
| 46.35 | 1.959 | 48.8 |
| 47.41 | 1.918 | 23.7 |
| 51.91 | 1.761 | 29.1 |

2.
Computed powder diffractogram
Compound: PaNi7B2
Radiation: λ = 1.5418 Å (Cu Kα)
Structure: a PBE-relaxed structure

```
10
Lattice="3.163 -5.042 0.000 3.163 5.042 0.000 0.000 0.000 3.932" Properties=species:S:1:pos:R:3 pbc="T T T"
Pa 0.000 0.000 0.000
Ni 1.227 1.382 1.966
Ni 3.163 2.313 0.000
Ni 1.227 -1.382 1.966
Ni 3.163 0.000 1.966
Ni 5.099 1.382 1.966
Ni 3.163 -2.313 0.000
Ni 5.099 -1.382 1.966
B 3.163 1.975 1.966
B 3.163 -1.975 1.966
```

Peak list (10 most intense, 2θ = 5–70°, sorted by position)
| 2θ/deg | d (Å) | intensity |
| --- | --- | --- |
| 16.54 | 5.359 | 88.0 |
| 28.16 | 3.169 | 84.7 |
| 36.45 | 2.465 | 77.3 |
| 37.98 | 2.369 | 100.0 |
| 42.60 | 2.122 | 59.8 |
| 46.04 | 1.972 | 62.6 |
| 46.17 | 1.966 | 42.1 |
| 49.90 | 1.828 | 50.7 |
| 51.13 | 1.786 | 22.2 |
| 67.25 | 1.392 | 38.5 |

3.
Computed powder diffractogram
Compound: PaNi22B6
Radiation: λ = 1.5418 Å (Cu Kα)
Structure: a PBE-relaxed structure

```
29
Lattice="0.000 5.301 5.301 5.301 0.000 5.301 5.301 5.301 0.000" Properties=species:S:1:pos:R:3 pbc="T T T"
Pa 0.000 0.000 0.000
Ni 1.822 1.822 0.000
Ni 3.479 3.479 0.000
Ni 1.822 0.000 1.822
Ni 5.301 3.479 1.822
Ni 3.479 0.000 3.479
Ni 5.301 1.822 3.479
Ni 6.542 4.061 4.061
Ni 2.651 2.651 2.651
Ni 0.000 1.822 1.822
Ni 3.479 5.301 1.822
Ni 3.479 1.822 5.301
Ni 4.061 4.061 4.061
Ni 6.542 6.542 4.061
Ni 6.542 4.061 6.542
Ni 4.061 6.542 4.061
Ni 4.061 4.061 6.542
Ni 6.542 6.542 6.542
Ni 0.000 3.479 3.479
Ni 1.822 5.301 3.479
Ni 1.822 3.479 5.301
Ni 7.952 7.952 7.952
Ni 4.061 6.542 6.542
B 5.301 5.301 2.925
B 5.301 2.925 5.301
B 7.678 5.301 5.301
B 2.925 5.301 5.301
B 5.301 7.678 5.301
B 5.301 5.301 7.678
```

Peak list (10 most intense, 2θ = 5–70°, sorted by position)
| 2θ/deg | d (Å) | intensity |
| --- | --- | --- |
| 14.47 | 6.122 | 18.6 |
| 16.72 | 5.301 | 6.3 |
| 27.91 | 3.197 | 17.9 |
| 29.18 | 3.061 | 9.9 |
| 41.73 | 2.164 | 38.0 |
| 44.40 | 2.041 | 100.0 |
| 48.57 | 1.874 | 23.3 |
| 51.73 | 1.767 | 16.5 |
| 54.76 | 1.676 | 5.7 |
| 56.95 | 1.617 | 5.5 |

4.
Computed powder diffractogram
Compound: Pa2Ni5B4
Radiation: λ = 1.5418 Å (Cu Kα)
Structure: a PBE-relaxed structure

```
11
Lattice="4.793 -2.532 0.000 4.793 2.532 0.000 -3.230 0.000 5.393" Properties=species:S:1:pos:R:3 pbc="T T T"
Pa 1.859 0.000 0.785
Pa 4.497 0.000 4.608
Ni 1.952 1.287 3.336
Ni 4.403 1.287 2.057
Ni 4.793 0.000 0.000
Ni 1.952 -1.287 3.336
Ni 4.403 -1.287 2.057
B -1.248 0.000 3.512
B 0.401 0.000 3.765
B 5.955 0.000 1.628
B 7.603 0.000 1.880
```

Peak list (10 most intense, 2θ = 5–70°, sorted by position)
| 2θ/deg | d (Å) | intensity |
| --- | --- | --- |
| 22.67 | 3.923 | 85.0 |
| 29.81 | 2.997 | 100.0 |
| 33.15 | 2.702 | 97.2 |
| 33.52 | 2.674 | 52.5 |
| 34.14 | 2.626 | 62.4 |
| 37.13 | 2.421 | 83.4 |
| 39.31 | 2.292 | 80.2 |
| 41.90 | 2.156 | 65.1 |
| 43.36 | 2.087 | 61.7 |
| 44.15 | 2.051 | 58.7 |

5.
Computed powder diffractogram
Compound: Ni21B6Pd2
Radiation: λ = 1.5418 Å (Cu Kα)
Structure: a PBE-relaxed structure

```
29
Lattice="0.000 5.266 5.266 5.266 0.000 5.266 5.266 5.266 0.000" Properties=species:S:1:pos:R:3 pbc="T T T"
Ni 0.000 0.000 0.000
Ni 1.779 1.779 0.000
Ni 3.487 3.487 0.000
Ni 1.779 0.000 1.779
Ni 5.266 3.487 1.779
- - -

## Outcome
1.
Computed powder diffractogram
Compound: ReNiBP2
Radiation: λ = 1.5418 Å (Cu Kα)
Structure: a PBE-relaxed structure

```
10
Lattice="7.708 0.000 0.000 0.000 3.066 0.000 -3.309 0.000 5.444" Properties=species:S:1:pos:R:3 pbc="T T T"
Re 0.000 0.000 0.000
Re 3.854 1.533 0.000
Ni 2.121 0.000 1.744
Ni 5.975 1.533 1.744
B -1.101 0.000 5.122
B 2.754 1.533 5.122
P -1.757 1.533 4.029
P 0.474 1.533 1.839
P 2.097 0.000 4.029
P 4.329 0.000 1.839
```

Peak list (10 most intense, 2θ = 5–70°, sorted by position)
| 2θ/deg | d (Å) | intensity |
| --- | --- | --- |
| 16.28 | 5.444 | 100.0 |
| 27.07 | 3.294 | 46.9 |
| 29.80 | 2.998 | 37.0 |
| 32.80 | 2.730 | 86.7 |
| 38.61 | 2.332 | 29.6 |
| 39.50 | 2.282 | 35.9 |
| 41.01 | 2.201 | 49.9 |
| 46.35 | 1.959 | 48.8 |
| 47.41 | 1.918 | 23.7 |
| 51.91 | 1.761 | 29.1 |

2.
Computed powder diffractogram
Compound: PaNi7B2
Radiation: λ = 1.5418 Å (Cu Kα)
Structure: a PBE-relaxed structure

```
10
Lattice="3.163 -5.042 0.000 3.163 5.042 0.000 0.000 0.000 3.932" Properties=species:S:1:pos:R:3 pbc="T T T"
Pa 0.000 0.000 0.000
Ni 1.227 1.382 1.966
Ni 3.163 2.313 0.000
Ni 1.227 -1.382 1.966
Ni 3.163 0.000 1.966
Ni 5.099 1.382 1.966
Ni 3.163 -2.313 0.000
Ni 5.099 -1.382 1.966
B 3.163 1.975 1.966
B 3.163 -1.975 1.966
```

Peak list (10 most intense, 2θ = 5–70°, sorted by position)
| 2θ/deg | d (Å) | intensity |
| --- | --- | --- |
| 16.54 | 5.359 | 88.0 |
| 28.16 | 3.169 | 84.7 |
| 36.45 | 2.465 | 77.3 |
| 37.98 | 2.369 | 100.0 |
| 42.60 | 2.122 | 59.8 |
| 46.04 | 1.972 | 62.6 |
| 46.17 | 1.966 | 42.1 |
| 49.90 | 1.828 | 50.7 |
| 51.13 | 1.786 | 22.2 |
| 67.25 | 1.392 | 38.5 |

3.
Computed powder diffractogram
Compound: PaNi22B6
Radiation: λ = 1.5418 Å (Cu Kα)
Structure: a PBE-relaxed structure

```
29
Lattice="0.000 5.301 5.301 5.301 0.000 5.301 5.301 5.301 0.000" Properties=species:S:1:pos:R:3 pbc="T T T"
Pa 0.000 0.000 0.000
Ni 1.822 1.822 0.000
Ni 3.479 3.479 0.000
Ni 1.822 0.000 1.822
Ni 5.301 3.479 1.822
Ni 3.479 0.000 3.479
Ni 5.301 1.822 3.479
Ni 6.542 4.061 4.061
Ni 2.651 2.651 2.651
Ni 0.000 1.822 1.822
Ni 3.479 5.301 1.822
Ni 3.479 1.822 5.301
Ni 4.061 4.061 4.061
Ni 6.542 6.542 4.061
Ni 6.542 4.061 6.542
Ni 4.061 6.542 4.061
Ni 4.061 4.061 6.542
Ni 6.542 6.542 6.542
Ni 0.000 3.479 3.479
Ni 1.822 5.301 3.479
Ni 1.822 3.479 5.301
Ni 7.952 7.952 7.952
Ni 4.061 6.542 6.542
B 5.301 5.301 2.925
B 5.301 2.925 5.301
B 7.678 5.301 5.301
B 2.925 5.301 5.301
B 5.301 7.678 5.301
B 5.301 5.301 7.678
```

Peak list (10 most intense, 2θ = 5–70°, sorted by position)
| 2θ/deg | d (Å) | intensity |
| --- | --- | --- |
| 14.47 | 6.122 | 18.6 |
| 16.72 | 5.301 | 6.3 |
| 27.91 | 3.197 | 17.9 |
| 29.18 | 3.061 | 9.9 |
| 41.73 | 2.164 | 38.0 |
| 44.40 | 2.041 | 100.0 |